U.S. lawmakers, stakeholders in the dark as NAFTA talks continue

• Materials data, as found in the file:
____________
Here is a relaxed MgMnV5O12 crystal from the Materials Project database. Energies are from GGA+U.

Cell and atoms, written as extended XYZ:
```
19
Lattice="5.5935 0.0000 0.0000 2.2472 6.6600 0.0000 2.1573 0.9117 6.7282" Properties=species:S:1:pos:R:3 pbc="T T T"
Mg 0.0000 0.0000 0.0000
Mn 7.7934 4.5185 2.5259
V 3.2136 4.4297 5.9907
V 5.0275 5.5978 1.3002
V 3.8453 2.3981 0.6180
V 6.3687 6.4472 4.5107
V 6.7453 1.0987 3.2512
O 1.6952 2.5049 2.4546
O 3.2524 6.4989 1.9878
O 2.2757 0.7150 4.5588
O 4.9126 3.8335 5.9210
O 6.2292 6.6106 6.2978
O 4.0630 3.8576 1.6449
O 5.8870 5.4900 3.0740
O 3.7048 0.6537 0.9309
O 5.1298 1.2936 3.9086
O 7.6998 3.0380 6.5203
O 8.0094 5.1918 4.5543
O 6.8202 4.8661 0.5164
```

Computed properties:
- crystal system = triclinic
- SG = No. 1
- energy above the most stable polymorph in this dataset (meV per atom) = 0.0
- total magnetization (μB/cell) = 10.00

=====

Here is a relaxed MgMn2V2O8 crystal from the Materials Project database. Energies are from GGA+U.

Cell and atoms, written as extended XYZ:
```
13
Lattice="6.5253 0.0000 0.0000 0.0000 2.9144 4.4492 0.0000 -2.9144 4.4492" Properties=species:S:1:pos:R:3 pbc="T T T"
Mg 0.0000 0.0000 0.0000
Mn 1.6813 0.0000 3.0345
Mn 4.8440 0.0000 3.0345
V 0.0000 0.0000 6.1373
V 3.2627 0.0000 8.7477
O 0.0000 -1.5252 2.8708
O 0.0000 1.5252 2.8708
O 1.3480 0.0000 5.1299
O 1.7900 0.0000 0.8350
O 3.2627 -1.4902 3.2923
O 3.2627 1.4902 3.2923
O 4.7353 0.0000 0.8350
O 5.1773 0.0000 5.1299
```

Computed properties:
- crystal system = orthorhombic
- SG = No. 38
- energy above the most stable polymorph in this dataset (meV per atom) = 0.0
- total magnetization (μB/cell) = 10.00

=====

| no. | density (g/cm3) | ΔH_f (0 K) (eV/f.u.) |
| --- | --- | --- |
| 1 | 3.5 | -46.4 |
| 2 | 3.6 | -31.0 |

* * * * *

No. 1
Crystalline Cr3Sn2Sb3O16 at its relaxed geometry, computed with GGA+U.

abc: 6.130 6.130 9.478
angles: 90.05 90.05 60.27
Element x y z (fractional)
Cr (0.000, 0.000, 0.000)
Cr (0.167, 0.661, 0.499)
Cr (0.661, 0.167, 0.499)
Sn (0.154, 0.154, 0.295)
Sn (0.485, 0.485, 0.768)
Sb (0.495, 0.999, 0.003)
Sb (0.663, 0.663, 0.501)
Sb (0.999, 0.495, 0.003)
O (0.157, 0.661, 0.895)
O (0.166, 0.166, 0.889)
O (0.310, 0.875, 0.121)
O (0.312, 0.312, 0.127)
O (0.348, 0.348, 0.618)
O (0.351, 0.791, 0.627)
O (0.501, 0.501, 0.394)
O (0.502, 0.990, 0.387)
O (0.661, 0.157, 0.895)
O (0.664, 0.664, 0.894)
O (0.791, 0.351, 0.627)
O (0.828, 0.828, 0.598)
O (0.830, 0.830, 0.103)
O (0.875, 0.310, 0.121)
O (0.989, 0.989, 0.391)
O (0.990, 0.502, 0.387)

**Formation energy**: -1.994 eV/atom
**Energy with MP2020 corrections**: -176.39 eV for the cell shown
**Total magnetization**: 0.375 μB/atom

=====

No. 2
Crystalline Sr2CrSbO6 at its relaxed geometry, computed with GGA+U.

abc: 5.646 5.646 5.694
angles: 120.26 120.26 59.95
Element x y z (fractional)
Sr (0.250, 0.250, 0.246)
Sr (0.750, 0.750, 0.754)
Cr (0.000, 0.000, 0.500)
Sb (0.500, 0.500, 0.000)
O (0.220, 0.717, 0.216)
O (0.252, 0.252, 0.693)
O (0.283, 0.780, 0.784)
____________
• The materials data stop here:

MEXICO CITY — Intermittently emerging from boardrooms here at the Camino Real hotel several times a day, negotiators tasked with reaching a deal on the North American Free Trade Agreement attempted to evade hordes of TV news crews throughout the week.

Movements were so quick and random that, at times, camera crews had to sprint toward negotiators when alerted of a break, with so much gear in tow that it appeared to swallow the subjects.

Negotiators occasionally departed for the day. Other times, they were moving to other meetings in “cuarto junto,” or the room next door, as the Mexican private sector refers to some of those meetings.

Despite the suffocating press scrums while in transit, negotiators often said nothing to the cameras before security escorted them to another section of the hotel. This routine repeated itself over the course of the week, with television crews posting up strategically around the lobby, stalking for slivers of quotes and information from the private talks.

Meanwhile, President Donald Trump, turning his attention to trade tariffs, has tempered his tone on NAFTA, which he’s called one of the worst trade agreements ever written — the same agreement that helped transform the Rio Grande Valley’s economy.

American, Canadian and Mexican negotiating teams have had similar setups throughout the NAFTA rounds, with the seventh stage of the renegotiation continuing in Mexico City after rotating rounds in the three capital cities since last August. Officials have said an eighth round is likely in Washington toward the end of this month.

The three governments negotiate in private while select members from the private sectors of each country are nearby for briefings and consultation.

Who’s in the loop?

Briefings between the Mexican government and its private sector tend to be fairly detailed, talking in-depth about that day’s topics, according to people involved. The U.S. government and its private sector, meanwhile, tend to be fairly surface level, not getting especially extensive during their briefings. Those in the U.S. private sector are encouraged by the government to keep much of the information to themselves, they said.

Therefore, much of the negotiating information, and progress, typically doesn’t make its way to U.S. lawmakers and trade stakeholders, which they’ve said is frustrating.

“The administration has not been very good at sharing information with us,” U.S. Rep. Henry Cuellar, D-Laredo, said. “At the beginning, Sen. Cornyn and I sat down the Trade Representative (Robert) Lighthizer and (Commerce) Secretary (Wilbur) Ross and (Treasury) Secretary (Steven) Mnuchin. Unfortunately now, we don’t get much info.”

Cuellar’s bipartisan partner on many trade issues is often U.S. Sen. John Cornyn, R-Texas.

“ It would be a mistake not to keep the Congress apprised,” said Cornyn, who acknowledged he’s had some trade-related meetings at the White House, but not since mid-February.

U.S. trade stakeholders view it similarly, some even asking members of the news media what’s happening.

“It’s very hard to get concrete and detailed information of what is really happening,” said Jorge Torres, a U.S. customs broker and president of a McAllen-based trade services company. “We have a basic knowledge of the topics but very little details.”

Trade attorneys said the American business community is often out of the loop, which makes it difficult for businesses to plan as NAFTA’s impact on the country is significant.

Mexicans, meanwhile, don’t seem to have problems with their negotiating consultation.

“After they meet with Canadian and U.S. negotiators, they come back to us, review positions, give impact on the industry, go back and forth,” said Sergio Gómez Lora, CEO of IQOM, an international trade consultancy firm in Mexico City advising the Mexican private sector throughout the negotiations.

How they’re getting updates

Rafael Delgado, an international trade expert with Grupo Maerker, a trade consultant group, was heavily involved with the private sector of the original NAFTA negotiation. He said governments use private sector consultation differently, but it’s important to be in contact with trade stakeholders.

Jaime Serra Puche concurred. He would know, since he was Mexico’s commerce secretary presiding over the negotiations when NAFTA was originally signed.

“We did it in ‘93 and it was very effective,” Serra Puche said of consulting the private sector. “And we would have meetings with the Senate at the beginning, in between and at the end.”

In the U.S. Congress, NAFTA’s responsibility falls under the Finance Committee on the Senate side and Ways and Means Committee in the House. Kevin Brady, R-The Woodlands, chairs Ways and Means. He was scheduled to be here this weekend to meet with people involved with the talks.

Beyond casual talks with Brady since Trump notified Congress of his intention to renegotiate, Cuellar hasn’t received much information from the Trump Administration.

U.S. Rep. Filemon Vela, D-Brownsville, has also been kept mostly in the dark on the renegotiations.

== Inserted here: materials data ==
MgZn4Se8O20: relaxed, GGA-PBE.

```
33
Lattice="-1.061 -5.004 3.733 6.488 -1.869 -1.099 3.177 6.624 8.161" Properties=species:S:1:pos:R:3 pbc="T T T"
O 3.037 -3.837 2.632
O 4.676 -5.906 3.058
Zn 4.060 -2.209 5.681
O 1.034 -0.316 7.927
O 0.854 -2.280 2.367
O 4.759 -3.821 4.714
Se 6.240 2.284 8.011
Se 2.530 1.674 7.059
O 1.893 0.401 2.022
O 6.128 4.149 7.848
O 6.331 1.689 6.418
O 6.547 -0.367 8.619
O 5.167 -0.788 4.524
O 3.655 2.611 6.093
Se 2.479 -2.061 2.808
Se 1.916 1.933 2.689
O 3.718 5.616 7.447
O 3.514 2.053 3.371
Zn 8.378 0.460 9.179
Se 6.501 -2.045 8.216
Zn 4.801 1.017 5.313
Se 4.214 0.214 10.343
O 3.133 1.924 8.655
Se 3.637 -4.908 4.004
O 5.573 -1.723 2.005
Se 6.348 -1.623 3.499
O 7.517 -0.249 3.295
O 7.932 2.342 8.402
O 4.821 -2.173 7.563
Mg 2.921 -1.198 8.206
Zn -0.094 -0.870 1.262
O 3.384 0.160 6.683
O 2.365 -1.943 4.524
```

Values from the calculation:
Energy of formation from the pure elements in eV per atom: -1.401
Space group: No. 1
Calculated total energy in eV per atom: -5.03
Total magnetic moment in μB/cell: 0.0
== The materials data stop here ==

“Tony’s essentially our eyes and ears down there,” Vela said, referring to former U.S. Ambassador to Mexico, Tony Garza, a Brownsville native. “I have a great relationship with Geronimo Gutierrez, the Mexican ambassador (to the U.S.). We talk often. Between him and Tony, that’s basically it.”

Cuellar said when the Trans Pacific Partnership was being negotiated, President Barack Obama’s administration would regularly provide Congress with updates.

“And if there was information they wanted private,” he said, “they’d have us in a room and say, ‘this needs to be private.’ And we kept it that way. But we were aware of what was happening.”

As talks conclude Monday and the three country’s cabinet members presiding over the negotiations meet, Congress and stakeholders will look for more information.

-- The page is interrupted by materials data --
[1]
## RbMg6Nb (PBE)

Data for RbMg6Nb after structural relaxation.

Calculated formation energy   2.9 eV per formula unit
Calculated volume   206.6 Å³ per cell
ΔE to the lowest computed polymorph   0 meV/atom
Spin magnetization   0.398 Bohr magnetons per cell
E_tot   -17.820 eV per cell

Lattice parameters (Å, degrees): 6.782 6.782 4.492 90.00 90.00 90.00
Fractional positions:
Rb 0.000 0.000 0.500
Mg 0.286 0.714 0.000
Mg 0.000 0.500 0.500
Mg 0.286 0.286 0.000
Mg 0.714 0.714 0.000
Mg 0.500 0.000 0.500
Mg 0.714 0.286 0.000
Nb 0.500 0.500 0.500



[2]
## RbMg6Nb (PBE)

Data for RbMg6Nb after structural relaxation.

Calculated formation energy   3.0 eV per formula unit
Calculated volume   196.0 Å³ per cell
ΔE to the lowest computed polymorph   18 meV/atom
Spin magnetization   0.413 Bohr magnetons per cell
E_tot   -17.677 eV per cell

Lattice parameters (Å, degrees): 6.579 6.579 5.159 90.00 90.00 118.65
Fractional positions:
Mg 0.567 0.897 0.500
Mg 0.099 0.901 0.500
Mg 0.428 0.119 0.000
Mg 0.103 0.433 0.500
Mg 0.426 0.574 0.000
Mg 0.881 0.572 0.000
Nb 0.583 0.417 0.500
Rb 0.913 0.087 0.000



> Which value of E_tot does entry 1 give?

-17.820 eV per cell



> Among the records above, which one has the lowest E_tot?

number 1



> The lowest E_tot belongs to which entry?

number 1


# 1
Li4MnP2O9, optimized geometry, DFT PBE+U; M_tot = 3.0 μB/f.u.; distance to the lowest polymorph of the same formula = 0.0000 eV/atom; crystal system = monoclinic; calculated formation energy = -246 kJ/mol of atoms; symmetry = C2/m (12); electronic total energy = -6.57 eV/atom
1.0
3.060 -6.274 -3.623
7.136 -0.862 -3.192
2.531 -2.393 6.101
Li O P Mn
8 18 4 2
Direct
0.892 0.892 0.233
0.759 0.241 0.000
0.500 0.000 0.500
0.241 0.759 0.000
0.367 0.367 0.711
0.000 0.500 0.500
0.108 0.108 0.767
0.633 0.633 0.289
0.821 0.441 0.876
0.655 0.655 0.565
0.179 0.559 0.124
0.031 0.031 0.186
0.559 0.179 0.124
0.626 0.010 0.766
0.873 0.873 0.493
0.969 0.969 0.814
0.010 0.626 0.766
0.238 0.238 0.896
0.504 0.504 0.236
0.762 0.762 0.104
0.374 0.990 0.234
0.127 0.127 0.507
0.990 0.374 0.234
0.496 0.496 0.764
0.441 0.821 0.876
0.345 0.345 0.435
0.876 0.876 0.708
0.124 0.124 0.292
0.397 0.397 0.243
0.603 0.603 0.757
0.000 0.500 0.000
0.500 0.000 0.000


# 2
LaCrCoO6, optimized geometry, DFT PBE+U; M_tot = 4.0 μB/f.u.; crystal system = monoclinic; calculated formation energy = -197 kJ/mol of atoms; symmetry = Pc (7); electronic total energy = -6.89 eV/atom
1.0
-3.988 2.330 -2.541
-1.807 -5.466 -2.174
-4.458 -0.904 5.976
Cr O Co La
2 12 2 2
Direct
0.534 0.079 0.482
0.034 0.421 0.982
0.578 0.032 0.739
0.078 0.468 0.239
0.245 0.657 0.531
0.924 0.470 0.774
0.718 0.338 0.060
0.744 0.843 0.031
0.218 0.162 0.560
0.424 0.030 0.274
0.203 0.190 0.959
0.234 0.646 0.975
0.703 0.310 0.459
0.735 0.854 0.474
0.560 0.076 0.985
0.060 0.424 0.485
0.014 0.873 0.745
0.514 0.627 0.245


# 3

“Bottom line,” Cuellar said, “are we in Congress getting sufficient information from the administration? No.”